

10 人



'''
1.
16
Properties=species:S:1:pos:R:3:forces:R:3 method="wB97M-V/def2-TZVPD" spin_multiplicity=1 e_above_lowest_ev=1.6166
C -0.316 0.871 -0.850 -1.2 -1.5 0.2
C -0.836 -1.442 0.543 0.4 -1.4 -1.0
C 1.554 0.414 0.092 0.2 -0.1 0.1
C 0.361 1.359 0.408 0.1 0.0 0.3
C 0.780 -0.111 -1.125 0.6 -0.5 -0.3
C -0.531 -0.720 -0.728 -0.1 3.2 -0.3
H -0.238 -1.181 1.398 0.2 0.3 0.3
H -1.133 -1.027 -1.574 0.1 -0.2 -0.1
H 1.834 -0.320 0.857 -0.1 0.1 -0.1
H 0.613 2.414 0.397 0.2 0.1 0.0
H 1.239 -0.352 -2.078 0.0 0.0 0.1
H -0.177 1.151 1.334 0.0 0.0 0.0
H -1.897 -1.431 0.806 0.2 0.0 -0.1
H -0.514 -2.458 0.223 -0.6 0.0 0.9
H -0.950 1.440 -1.519 0.2 0.0 0.0
H 2.449 0.970 -0.200 -0.2 -0.1 0.0

=====

2.
35
Properties=species:S:1:pos:R:3:forces:R:3 method="wB97M-V/def2-TZVPD" e_tot_ev=-40954.3834 spin_multiplicity=1 total_charge=+1
S -1.277 1.592 2.842 0.0 0.2 0.3
S -1.701 0.234 1.388 0.2 -0.4 -0.1
O -3.605 0.936 -1.144 -1.5 -0.4 0.2
O 2.398 -3.098 -3.002 0.3 0.3 -0.2
O 2.355 1.249 0.062 -0.3 0.2 0.3
O 0.194 -1.098 -3.163 0.0 -0.3 0.1
O 2.889 -0.856 1.848 0.5 1.2 0.3
O 1.508 3.711 -1.434 -0.1 -0.9 0.8
O -0.414 -3.514 2.078 -0.6 1.8 -1.2
N 0.600 -1.079 -0.096 0.2 -1.4 -1.2
C -0.450 -0.364 -0.951 1.0 0.7 1.3
C 0.135 0.011 -2.270 1.7 0.2 -2.5
C -0.950 0.828 -0.172 -1.8 0.9 -0.4
H -0.171 0.919 -2.807 -1.5 -0.2 0.6
H 2.657 -2.170 -3.052 -0.1 0.0 0.2
H -1.177 -1.160 -1.086 -0.5 0.3 -0.1
H 2.531 -3.348 -3.924 -0.1 -0.4 0.1
H 0.531 -3.541 2.198 0.0 -1.1 0.7
H 1.954 1.017 0.908 0.3 0.2 0.2
H -2.546 1.964 3.116 0.2 0.1 -0.2
H -1.789 1.265 -0.745 0.6 -0.5 0.2
H -0.650 -1.349 -3.552 -0.2 0.3 0.1
H 0.972 -1.844 -0.675 0.4 0.3 -0.2
H -4.217 1.053 -0.401 0.5 0.4 0.3
H -0.294 1.690 -0.089 0.7 -0.4 0.4
H 0.179 -1.622 0.653 -0.4 0.4 0.7
H 1.389 -0.519 0.251 -0.2 -0.1 -0.3
H -0.995 -4.195 2.409 0.8 -0.5 0.4
H 2.402 3.685 -1.786 -0.2 0.6 -0.4
H 1.190 0.321 -2.302 0.1 -0.4 1.3
H 2.785 -0.211 2.567 -0.6 -0.6 0.5
H 0.954 4.390 -1.823 0.5 0.2 -0.3
H 3.709 -0.448 1.522 0.1 -0.7 -0.7
H -4.181 0.355 -1.655 0.3 -0.1 -0.7
H 2.043 2.158 -0.072 0.0 0.1 -0.4

=====

3.
62
Properties=species:S:1:pos:R:3:forces:R:3 method="wB97M-V/def2-TZVPD" spin_multiplicity=2 e_above_lowest_ev=0.0000
Cu -0.511 -0.216 0.172 -0.2 -0.5 -0.2
S -0.837 -2.242 1.142 0.0 0.2 -0.1
O 3.191 -1.983 1.813 0.1 -0.1 -0.1
O -3.590 -0.252 -1.572 0.0 -0.1 0.1
O -1.515 3.298 2.031 -0.1 0.0 -0.1
O -1.395 -0.601 -1.418 0.0 0.0 0.0
N -1.387 1.703 0.459 0.2 0.2 -0.2
N 2.215 -1.093 -0.025 0.0 -0.1 -0.1
N 0.662 0.507 1.630 0.0 0.0 0.2
C -2.368 2.639 -0.108 0.0 -0.1 0.2
C 1.077 -5.051 -3.069 0.0 0.0 0.0
C -2.324 -4.374 0.422 0.0 0.0 0.0
C 2.994 -4.334 -1.809 0.0 0.0 0.0
C -1.002 2.588 -2.252 0.1 0.0 0.0
C 0.471 1.807 3.615 0.0 0.1 0.1
C 0.082 1.482 2.332 -0.2 0.1 -0.1
C -0.685 3.121 -3.495 0.0 0.0 0.0
C -2.314 4.852 -3.179 0.0 0.0 0.0
C -2.865 -2.385 -0.819 0.1 0.0 0.1
C -1.967 3.191 -1.458 0.0 0.1 0.0
C 3.060 -2.183 -0.545 -0.1 0.0 0.0
C 0.416 -3.885 -2.712 0.0 0.0 0.0
C 1.041 -2.943 -1.904 0.0 0.1 0.1
C -1.335 4.255 -3.961 0.0 0.0 0.0
'''
Here the piece continues

HBO, Cinemax, Discovery 等頻道之字幕翻譯製作


◆ 獎金 / 禮品類 1.年終獎金 ◆ 保險類 1.勞保 2.健保 3.員工退休金制 ◆ 休閒類 1.國內外不定期旅遊 2.部門聚餐 3.慶生會 ◆ 請 / 休假制度 1.週休二日 2.年假制度 ◆ 補助類 1.結婚禮金 2.員工陪產假 3.旅遊補助 4.員工及眷屬喪葬補助 5.勞工一般健康檢查:在職勞工  (1)年滿四十五以上者,每二年檢查一次。  (2)年滿三十未滿四十五者,每三年檢查一次。  (3)未滿三十者,每五年檢查一次。


兼職電影影視印尼語英文譯者 (Bahasa Indonesia) 群輪錄影企業有限公司
論件計酬 NT$ 1~100,000
We at TVi are a team of experts on digital media and new media, and has been leading the field of post-production and localization globally for over 35 years. We specialize in precise and concise localization services through the lens of culture. TVi has been working with multinational services including HBO Asia (WarnerMedia), Discovery, CatchPlay, Giloo and more. TVi is excited to announce our expansion into various language translation services, with a special emphasis on Bahasa Indonesian. As we embark on this journey to establish a dedicated translation team, we recognize the importance of bringing together talented individuals who share our passion for language and culture. This role is a unique opportunity to be part of our foundational efforts as we build this team from the ground up. We are looking for enthusiastic and skilled individuals who are eager to contribute to our vision and help shape the future of our Indonesian translation services. If you are interested in joining us during this exciting phase of growth, we welcome your application and look forward to working together to create meaningful translations that resonate with our diverse audience. [Qualifications] Attributes of the successful candidate will include fluency in both written and spoken English and Bahasa Indonesian, a solid understanding of Indonesia culture, experience in translation, highly honed language skills, attention to detail and computer literacy. You need to be equally comfortable working independently or as part of a team and capable of working under pressure in this fast-paced environment. TVi群輪為專業後製公司,已有逾35年業界經驗,從事全球化的電視、電影、串流影音字幕翻譯及配音。目前主要合作對象包含 HBO、Discovery、Catchplay 和 Giloo 等等,經手無數影視巨作。 如今TVi正在針對印尼語擴展翻譯服務。隨著我們踏上建立翻譯團隊的旅程,我們需要召集有才華的人與我們一同展開未知的旅程。 這個職位將成為本公司印尼翻譯的創始團隊。我們正在尋找熱情洋溢、技能出眾的人,渴望為我們的願景貢獻力量,並幫助塑造印尼翻譯服務的未來。 如果您有興趣在這個激動人心的成長階段加入我們,期待與您一起合作,創造能夠引起我們多元受眾共鳴的有意義的翻譯作品。 若你對影視翻譯製作與文化轉譯有極高的熱忱,且英文與印尼語/中文與印尼語程度均佳,個性有耐性且細心,歡迎加入我們。 此工作性質為兼差,譯者在家接稿。工作內容為由日/韓語文翻譯至正體中文。 若有相關檢定證照,請於自介或自傳中明確加註成績,並檢附相關語言能力證明書。
10/18 更新
兼職電影影視日韓翻中文譯者 群輪錄影企業有限公司
論件計酬 NT$ 1~100,000
We at TVi are a team of experts on digital media and new media, and has been leading the field of post-production and localization globally for over 35 years. We specialize in precise and concise localization services through the lens of culture. TVi has been working with multinational services including HBO Asia (WarnerMedia), Discovery, CatchPlay, Giloo and more. Striving for excellence and integrity, we have been entrusted and produced thousands of high-profile global contents, series and titles, including (but not limited to) The Oscars, Game of Thrones, Euphoria, Westworld, The Handmaid’s Tale etc. With our finger on the pulse, TVi has been, still is and will be the key to connecting the world. If you would like to pursue a career as a professional translator, working with the best channels and platforms in the world, TVi is now hiring! We welcome all candidates who have a passion for media, language and content to join on board! We provide solid training to qualified candidates, and they will be part of the connecting key to shaping the media industry. Applicants have to take an English-Chinese proficiency and listening comprehension test before interview. [Qualifications] Attributes of the successful candidate will include fluency in both written and spoken English and Chinese, a solid understanding of Western culture, experience in translation, highly honed language skills, attention to detail and computer literacy. You need to be equally comfortable working independently or as part of a team and capable of working under pressure in this fast-paced environment. TVi群輪為專業後製公司,已有逾35年業界經驗,從事全球化的電視、電影、串流影音字幕翻譯及配音。目前主要合作對象包含 HBO、Discovery、Catchplay 和 Giloo 等等,經手無數影視巨作,日韓作品包括《共同警戒區JSA》、《屍速列車》、《我想吃掉你的胰臟》等等,進行語言在地化及配音,內容品質方面堪稱執華語世界之牛耳。 若你對影視翻譯製作與文化轉譯有極高的熱忱,且中文與日/韓文程度均佳,個性有耐性且細心,歡迎加入我們。 此工作性質為兼差,譯者在家接稿。工作內容為由日/韓語文翻譯至正體中文。 若有日韓語相關檢定證照,請於自介或自傳中明確加註成績,並檢附相關語言能力證明書。
10/18 更新
全職電影影視英文編審 群輪錄影企業有限公司
月薪 NT$ 31,000~45,000
We at TVi are a team of experts on digital media and new media, and has been leading the field of post-production and localization globally for over 35 years. We specialize in precise and concise localization services through the lens of culture. TVi has been working with multinational services including HBO Asia (WarnerMedia), Discovery, CatchPlay, Giloo and more. Striving for excellence and integrity, we have been entrusted and produced thousands of high-profile global contents, series and titles, including (but not limited to) The Oscars, Game of Thrones, Euphoria, Westworld, The Handmaid’s Tale etc. With our finger on the pulse, TVi has been, still is and will be the key to connecting the world. If you would like to pursue a career as a professional translator and editor, working with the best channels and platforms in the world, TVi is now hiring! We welcome all candidates who have a passion for media, language and content to join on board! We provide solid training to qualified candidates, and they will be part of the connecting key to shaping the media industry. Applicants have to take an English-Chinese proficiency and listening comprehension test before interview. [Qualifications] Attributes of the successful candidate will include fluency in both written and spoken English and Chinese, a solid understanding of Western culture, experience in translation, highly honed language skills, attention to detail and computer literacy. You need to be equally comfortable working independently or as part of a team and capable of working under pressure in this fast-paced environment. TVi群輪為專業後製公司,已有逾35年業界經驗,從事全球化的電視、電影、串流影音字幕翻譯及配音。目前主要合作對象包含 HBO、Discovery、Catchplay 和 Giloo 等等,經手無數影視巨作,包括風行全球的《權力遊戲:冰與火之歌》、《高校十八禁》、《鍍金年代》、《使女的故事》等等,進行語言在地化及配音,內容品質方面堪稱執華語世界之牛耳。 若你對影視翻譯製作與文化轉譯有極高的熱忱,且中英文程度均佳,個性有耐性且細心,歡迎加入我們。 英文編審工作內容概述:翻譯與審核譯稿,學習各種字幕軟體,需負責行政職務,有影視翻譯經驗者尤佳。 求職者請務必提供中文與英文履歷及自傳。若有英語相關檢定證照,請於自介或自傳中明確加註成績,並檢附相關語言能力證明書。 福利制度有: ◆ 獎金 / 禮品類 1. 年終獎金 ◆ 保險類 1. 勞保 2. 健保 3. 員工退休金制 ◆ 休閒類 1. 國內外不定期旅遊 2. 部門聚餐 3. 慶生會 ◆ 請 / 休假制度 1. 週休二日 2. 年假制度 ◆ 補助類 1. 結婚禮金 2. 陪產假 3. 旅遊補助 4. 員工及眷屬喪葬補助 5. 勞工一般健康檢查:在職勞工  (1) 年滿四十五以上者,每二年檢查一次。  (2) 年滿三十未滿四十五者,每三年檢查一次。  (3) 未滿三十者,每五年檢查一次。
10/14 更新